Recent content by pojen_h@hotmail.
  1. pojen_h@hotmail.

    My Stax Omega II system just arrived!!

    CONGRATULATIONS! Before upgrade the source, how about the power? I just let my monster HTS 5100 go a couple days ago, and my system sounds dry and flat.
  2. pojen_h@hotmail.

    The Stax thread (New)

    Quote: Originally Posted by Duggeh A penknife and a soldering iron and you could put the SR-001 connector on it. Also, assuming that serial numbers have started at 1000, then there's really not a lot of those 4070s about. The stax serial numbers are different for different countries...
  3. pojen_h@hotmail.

    The Stax thread (New)

Between two parts of the article: records of crystals
- - -
Structure and calculated XRD peak list of LaNi2P2 (the GGA-PBE geometry in the Materials Project; copper Kα).
Lines closer than 0.1° are merged.

Cell and atoms:
Lattice parameters (Å, degrees): 5.586 5.586 5.586 138.02 138.02 60.87
Positions (direct):
1 La 0.000 0.000 0.000
2 Ni 0.250 0.750 0.500
3 Ni 0.750 0.250 0.500
4 P 0.370 0.370 0.000
5 P 0.630 0.630 0.000

The 6 most intense peaks (10 to 90 degrees two-theta), in order of falling intensity:
2theta	d [Å]	intensity
36.84	2.440	100.0
35.86	2.504	52.4
45.33	2.001	42.2
24.08	3.695	37.1
59.10	1.563	23.9
78.09	1.224	20.7

=====

Structure and calculated XRD peak list of LaNi2Rh3 (the GGA-PBE geometry in the Materials Project; copper Kα).
Lines closer than 0.1° are merged.

Cell and atoms:
Lattice parameters (Å, degrees): 5.310 5.310 4.060 90.00 90.00 120.00
Positions (direct):
1 La 0.000 0.000 0.000
2 Ni 0.333 0.667 0.000
3 Ni 0.667 0.333 0.000
4 Rh 0.000 0.500 0.500
5 Rh 0.500 0.000 0.500
6 Rh 0.500 0.500 0.500
- - -

    After seeing Carl's 4070, I can't stop thinking about it. I called my dealer to get a 001 (yes... a 001) to use at my office, but something went wrong Monday morning... Box I received today: The small brother, which not seen often here: 001 is REALLY SMALL.... (maybe I got used to...
  4. pojen_h@hotmail.

    The Stax thread (New)

    Hi, I have a question for 4070 owners... I recently moved to a new apartment that have central AC, i.e., it generates huge noise during operation. My 404 can't help in this situtation. I am consider 4070, can the owner comments on how good the isolation is? Thx,
  5. pojen_h@hotmail.

    Post pics of your computer rigs here.

    Do any jerker user know how to add wheel to it? I tried the moving rail from home depart, but doesn't work out well.
  6. pojen_h@hotmail.

    Power conditioners??

    If all we need is 120v@60Hz, why not consider ac source? Elgar and CA lab are two big names in ac source. Personally, I think AVS 2000 and PS premier are overkill for headphone use. (headphone amp "usually" consume less than 300w, not 3,000w) == side story == Do anyone here know direct...
  7. pojen_h@hotmail.

    Headphone Stands

    Quote: Originally Posted by lowrider007 I'm using a banana stand ... wooo hooo first post banana stand +1 cheap and beautiful XD Just remember to keep in mind the size of your headphone when chosing the banana hanger.
  8. pojen_h@hotmail.

    A new DA7.2x ?

    Quote: Originally Posted by ack_0220 I clicked on the link and it doesn't show any CD. You mind telling me the tittle? I have a 7.2x as well and would really like to try on it. If you listen to classical or instrumental music, try any album from Chesky recordings. They are wonderful...
  9. pojen_h@hotmail.

    Surge Protector / Power Stabilizer

    This is very interesting. I wonder how the tripp-lite compete with Monster AVS 2000. (ebay used for sub 500)
  10. pojen_h@hotmail.

    Gilmore Lite wait time?

    Quote: Originally Posted by Quint FWIW, Justin quoted me 8-10 weeks, possibly longer, on the new Blue Hawaii SE. He said 4-6 weeks on the KGSS. I don't know if that helps, but that's what he told me. Admittedly, these are lower-production items, so the wait would be understandably...
  11. pojen_h@hotmail.

    Stax 717 and the new 727

    Got reply from my dealer. 727II system = 2900 (I guess he means 727+O2) driver only = 1519 At this price, I will consider KGSS.
  12. pojen_h@hotmail.

    Stax 717 and the new 727

    Quote: Originally Posted by Sasaki I have a 007tA (your 007tII). I do not have 727 but my friend has it. from my experience on the 007tA and 727 impression by my friend, new STAX amps are more transparent than previous equivalents. Thanks. I guess I have to find out how much...
  13. pojen_h@hotmail.

    Which firewire soundcard without external alimentation?

    RME FireFace series could be another good candidate for firewire sound card. (I love them because it work with Mac.) They have excellent driver support, and there is nothing to complain except the ugly GUI. If you only use iTunes to listen to music, you might consider airport express. It is a...
  14. pojen_h@hotmail.

    Stax 717 and the new 727

    Quote: Originally Posted by Carl The 727 has a redesigned output stage, so there should be at least some difference in sound. It's doubtful that it'll be anything huge though. How much more are they charging for the 727? I am considering getting a new amp and put in my office...
  15. pojen_h@hotmail.

    does stax make a headphone that isn't ugly?

    I had no problem with my 404. I consider buying a new amp to put in my office and bring my 404 with me whether going home or work. (it is too bad that I can't use 404 while I drive.) This thread remined me this. === I can't find review for the new 727 amp. I wonder how it compare to...